There is a performance and lock issue when using EF for a update-from-query case on MSSQL 2008
. So I put ReadUncommitted transaction isolationlevel, hoping to resolve it, like this,
using (MyEntities db = new MyEntities())
// large dataset
var data = from _Contact in db.Contact where _Contact.MemberId == 13 select _Contact;
for (var item in data)
item.Flag = 0;
// Probably db lock
using (var scope =
new TransactionScope(TransactionScopeOption.RequiresNew,
new TransactionOptions() { IsolationLevel = IsolationLevel.ReadUncommitted }))
using (MyEntities db = new MyEntities())
// large dataset but with NOLOCK
var data = from _Contact in db.Contact where _Contact.MemberId == 13 select _Contact;
### Calculated crystals, as found in the file
+++
# Tb12Er7Zr
Simulated powder diffractogram, Cu Kα X-rays. Input: a crystal structure in Alexandria, relaxed with GGA-PBE.

Structure:
```
data_Tb12Er7Zr
_chemical_formula_sum 'Tb36 Er21 Zr3'
_symmetry_space_group_name_H-M 'R -3 m'
_symmetry_Int_Tables_number 166
_symmetry_space_group_name_Hall '-R 3 2"'
_cell_length_a 13.1433
_cell_length_b 13.1433
_cell_length_c 12.5540
_cell_angle_alpha 90.00
_cell_angle_beta 90.00
_cell_angle_gamma 120.00
loop_
_atom_site_label
_atom_site_type_symbol
_atom_site_fract_x
_atom_site_fract_y
_atom_site_fract_z
Tb1 Tb 0.0000 0.2609 0.0000
Tb2 Tb 0.0884 0.1767 0.7655
Er1 Er 0.0000 0.0000 0.0000
Er2 Er 0.0496 0.5248 0.1198
Zr1 Zr 0.0000 0.0000 0.5000
```

Peak list (6 most intense, 2θ = 10–90°, low angle first)
| 2θ/deg | I_rel |
| --- | --- |
| 29.52 | 512 |
| 31.73 | 644 |
| 31.84 | 787 |
| 32.26 | 1000 |
| 34.61 | 339 |
| 57.33 | 266 |

# ErTc3
Simulated powder diffractogram, Cu Kα X-rays. Input: a crystal structure in Alexandria, relaxed with GGA-PBE.

Structure:
```
data_ErTc3
_chemical_formula_sum 'Er8 Tc24'
_symmetry_space_group_name_H-M 'F m m m'
_symmetry_Int_Tables_number 69
_symmetry_space_group_name_Hall '-F 2 2'
_cell_length_a 5.296
_cell_length_b 8.912
_cell_length_c 11.608
_cell_angle_alpha 90.00
_cell_angle_beta 90.00
_cell_angle_gamma 90.00
loop_
_atom_site_label
_atom_site_type_symbol
_atom_site_fract_x
_atom_site_fract_y
_atom_site_fract_z
Er1 Er 0.000 0.000 0.136
Tc1 Tc 0.000 0.000 0.392
Tc2 Tc 0.250 0.250 0.000
Tc3 Tc 0.250 0.250 0.250
```

Peak list (6 most intense, 2θ = 10–90°, low angle first)
| 2θ/deg | I_rel |
| --- | --- |
| 36.97 | 1000 |
| 39.59 | 879 |
| 40.49 | 413 |
| 46.42 | 521 |
| 63.26 | 407 |
| 83.06 | 188 |

# ErTiTc4
Simulated powder diffractogram, Cu Kα X-rays. Input: a crystal structure in Alexandria, relaxed with GGA-PBE.

Structure:
```
data_ErTiTc4
_chemical_formula_sum 'Er4 Ti4 Tc16'
_symmetry_space_group_name_H-M 'F -4 3 m'
_symmetry_Int_Tables_number 216
_symmetry_space_group_name_Hall 'F -4 2 3'
_cell_length_a 7.441
_cell_length_b 7.441
_cell_length_c 7.441
_cell_angle_alpha 90.00
_cell_angle_beta 90.00
_cell_angle_gamma 90.00
loop_
_atom_site_label
_atom_site_type_symbol
_atom_site_fract_x
_atom_site_fract_y
_atom_site_fract_z
Er1 Er 0.000 0.000 0.000
Ti1 Ti 0.250 0.250 0.750
Tc1 Tc 0.125 0.125 0.375
```

Peak list (6 most intense, 2θ = 10–90°, low angle first)
| 2θ/deg | I_rel |
| --- | --- |
| 34.08 | 274 |
+++
for (var item in data)
item.Flag = 0;
// Try avoid db lock
We use SQL profiler
to trace. However, got these scripts in order,
(Expect read-uncommitted for the 1st script.)
Audit Login
set transaction isolation level read committed
[Extent1].[ContactId] AS [ContactId],
[Extent1].[MemberId] AS [MemberId],
FROM [dbo].[Contact] AS [Extent1]
WHERE [Extent1].[MemberId] = @p__linq__0
Audit Login
set transaction isolation level read uncommitted
Though I could resend this request and make it right order (will show read-uncommitted
for the following requests, same SPID), I wonder why it sent read-uncommitted command after read-committed command and how to fix by using EF and TransactionScope ? Thanks.
According to the following note in the ADO.NET documentation Snapshot Isolation in SQL Server, the Isolation Level is not bound to the Transaction Scope as long as the underlying connection is pooled:
If a connection is pooled, resetting its isolation level does not reset the isolation level at the server. As a result, subsequent connections that use the same pooled inner connection start with their isolation levels set to that of the pooled connection. An alternative to turning off connection pooling is to set the isolation level explicitly for each connection.
Thus I conclude that until SQL Server 2012, setting the isolation to any other level than ReadCommitted
requires to either turn of connection pooling when creating the questionable SqlConnection or to set the Isolation Level in each connection explicitly to avoid unexpected behavior, including deadlocks. Alternatively the Connection Pool could be cleared by calling the ClearPool Method, but since this method is neither bound to the Transaction Scope nor the underlying connection, I don't think that it's approriate when several connections run simultaneously against the same pooled inner connection.
Referencing the post SQL Server 2014 reseting isolation level in the SQL forum and my own tests, such workarounds are obsolete when using SQL Server 2014 and a client driver with TDS 7.3 or higher.